-- What to do --
Your job: count the lines further down that contain the word "Tl1" and give the number alone.
-- File --
An optimized crystal structure of Sm2In3Ni, computed with PBE.

Cell: 3.7457 4.7873 8.2704 Å, 90.00 90.00 90.00°
With the nearest neighbours (Å) after each atom.
Element x y z (fractional)
Sm: 0.0000 0.0000 0.0373  2 Ni 3.00, 4 In 3.26
Sm: 0.0000 0.5000 0.4836  8 In 3.12-3.45, 4 Ni 3.32
In: 0.5000 0.5000 0.1813  2 Ni 2.66, 1 In 2.87
In: 0.5000 0.0000 0.6424  1 Ni 2.66, 2 In 2.87
In: 0.5000 0.5000 0.8341  3 In 2.87
Ni: 0.5000 0.0000 0.3214  3 In 2.66

The value obtained for the calculated density is 7.9 g/cm3. As for the calculated formation energy: -0.4147 eV per atom. For the density of states at the Fermi level, the calculation gives 4.43 states/eV/cell. As for the space group: Pmm2. The calculation puts the magnetic moment at 0.0 μB per formula unit.

* * * * *

The following is a DFT calculation (PBE) of an optimized crystal structure of CeFe2H8.

- Calculated density: 5.97 Mg/m³
- Electronic total energy: -4.68 eV/atom
- Calculated volume: 6.568 A^3/atom
- ΔE to the lowest computed polymorph: 0 meV per atom

```
data_CeFe2H8
_chemical_formula_sum 'Ce2 Fe4 H16'
_cell_length_a 4.920
_cell_length_b 8.006
_cell_length_c 3.668
_cell_angle_alpha 90.00
_cell_angle_beta 90.21
_cell_angle_gamma 90.00
_space_group_name_H-M_alt 'C 1 2/m 1'
_space_group_IT_number 12
loop_
_space_group_symop_operation_xyz
'x,y,z'
'-x,-y,-z'
'-x,y,-z'
'x,-y,z'
'x+1/2,y+1/2,z'
'-x+1/2,-y+1/2,-z'
'-x+1/2,y+1/2,-z'
'x+1/2,-y+1/2,z'
loop_
_atom_site_label
_atom_site_type_symbol
_atom_site_fract_x
_atom_site_fract_y
_atom_site_fract_z
Ce1 Ce 0.000 0.000 0.000
Fe1 Fe 0.000 0.325 0.500
H1 H 0.000 0.308 0.000
H2 H 0.005 0.500 0.736
H3 H 0.176 0.147 0.501
```

The following is a DFT calculation (PBE) of an optimized crystal structure of Be2SeBr.

- Uncorrected formation energy: 0.62 eV per atom
- Calculated density: 4.49 Mg/m³
- Electronic total energy: -2.54 eV/atom
- Calculated volume: 16.357 A^3/atom
- ΔE to the lowest computed polymorph: 913 meV per atom

```
data_Be2SeBr
_chemical_formula_sum 'Be8 Se4 Br4'
_cell_length_a 6.396
_cell_length_b 6.396
_cell_length_c 6.396
_cell_angle_alpha 90.00
_cell_angle_beta 90.00
_cell_angle_gamma 90.00
_space_group_name_H-M_alt 'F m -3 m'
_space_group_IT_number 225
_space_group_name_Hall '-F 4 2 3'
loop_
_atom_site_label
_atom_site_type_symbol
_atom_site_fract_x
_atom_site_fract_y
_atom_site_fract_z
Be1 Be 0.250 0.250 0.250
Se1 Se 0.000 0.000 0.000
Br1 Br 0.000 0.000 0.500
```

The following is a DFT calculation (PBE) of an optimized crystal structure of GaSnGe.

- Formation enthalpy at 0 K: 0.189 eV/atom
- Calculated density: 5.67 Mg/m³
- Electronic total energy: -3.69 eV/atom
- Calculated volume: 25.487 A^3/atom
- ΔE to the lowest computed polymorph: 83 meV per atom

```
data_GaSnGe
_chemical_formula_sum 'Ga4 Sn4 Ge4'
_cell_length_a 6.738
_cell_length_b 6.738
_cell_length_c 6.738
_cell_angle_alpha 90.00
_cell_angle_beta 90.00
_cell_angle_gamma 90.00
_space_group_name_H-M_alt 'F -4 3 m'
_space_group_IT_number 216
_space_group_name_Hall 'F -4 2 3'
loop_
_atom_site_label
_atom_site_type_symbol
_atom_site_fract_x
_atom_site_fract_y
_atom_site_fract_z
Ga1 Ga 0.000 0.000 0.000
Sn1 Sn 0.000 0.000 0.500
Ge1 Ge 0.250 0.250 0.750
```

The following is a DFT calculation (PBE) of an optimized crystal structure of HoTl3Ga2O6.

- Uncorrected formation energy: -1.58 eV per atom
- Calculated density: 7.07 Mg/m³
- Electronic total energy: -5.54 eV/atom
- Calculated volume: 19.833 A^3/atom

```
data_HoTl3Ga2O6
_chemical_formula_sum 'Ho1 Tl3 Ga2 O6'
_cell_length_a 6.1381
_cell_length_b 6.1381
_cell_length_c 7.2941
_cell_angle_alpha 90.00
_cell_angle_beta 90.00
_cell_angle_gamma 120.00
_space_group_name_H-M_alt 'P -3 m 1'
_space_group_IT_number 164
_space_group_name_Hall '-P 3 2"'
loop_
_atom_site_label
_atom_site_type_symbol
_atom_site_fract_x
_atom_site_fract_y
_atom_site_fract_z
Ho1 Ho 0.0000 0.0000 0.0000
Tl1 Tl 0.0000 0.0000 0.5000
Tl2 Tl 0.3333 0.6667 0.2577
Ga1 Ga 0.3333 0.6667 0.8076
O1 O 0.1656 0.3313 0.8054
```
-- Done --
1